**Entries**
<<<
Diffraction record for Sm2Cr2S2O5. The powder diffractogram is calculated, not measured: it uses DFT lattice parameters and positions (GGA+U) and Cu Kα, 1.54184 Å.
Neutral-atom scattering factors, no anomalous dispersion.

Top 8 peaks for 15° ≤ 2θ ≤ 90°, by angle:
Position (°2θ)	I (rel.)
15.5	62
25.9	100
32.8	65
36.1	70
40.7	29
42.7	32
47.0	19
60.7	29

Crystal structure
Cell lengths 11.7276, 11.7276, 11.7276 Å; angles 161.07, 161.01, 26.94 degrees
Atoms (fractional coordinates):
Sm: 0.1612 0.1612 0.0000
Sm: 0.8388 0.8388 0.0000
Cr: 0.4221 0.4221 0.0000
Cr: 0.5779 0.5779 0.0000
S: 0.2954 0.2954 0.0000
S: 0.7046 0.7046 0.0000
O: 0.0985 0.5985 0.5000
O: 0.4023 0.9023 0.5000
O: 0.5000 0.5000 0.0000
O: 0.5977 0.0977 0.5000
O: 0.9015 0.4015 0.5000

~~~~~

No. 1
Computed PXRD pattern of Gd3CoHg for Cu Kα (λ = 1.5418 Å), from a crystal structure in Alexandria, relaxed with PBE.
Peak positions follow from Bragg's law for the DFT cell and can differ from measured ones.

Top 6 peaks for 10° ≤ 2θ ≤ 90°, by intensity:
29.84 deg, 2.995 Å, intensity 100
34.59 deg, 2.593 Å, intensity 74
49.72 deg, 1.834 Å, intensity 53
59.07 deg, 1.564 Å, intensity 45
83.32 deg, 1.160 Å, intensity 24
80.76 deg, 1.190 Å, intensity 19

Structural model:
abc: 5.1869 5.1869 5.1869
angles: 90.00 90.00 90.00
Space group Pm-3m (No. 221)
Unique sites:
Gd 0.0000 0.0000 0.5000 x3
Co 0.0000 0.0000 0.0000 x1
Hg 0.5000 0.5000 0.5000 x1



No. 2
Computed PXRD pattern of Ba2LiHg for Cu Kα (λ = 1.5418 Å), from a crystal structure in Alexandria, relaxed with PBE.
Peak positions follow from Bragg's law for the DFT cell and can differ from measured ones.

Top 6 peaks for 10° ≤ 2θ ≤ 90°, by intensity:
29.65 deg, 3.013 Å, intensity 100
29.74 deg, 3.004 Å, intensity 50
14.75 deg, 6.007 Å, intensity 43
52.73 deg, 1.736 Å, intensity 40
25.58 deg, 3.483 Å, intensity 25
52.55 deg, 1.741 Å, intensity 20

Structural model:
abc: 8.4897 8.5011 4.2746
angles: 90.00 90.00 90.00
Space group Cmmm (No. 65)
Unique sites:
Ba 0.2500 0.2500 0.0000 x4
Li 0.0000 0.0000 0.5000 x2
Hg 0.0000 0.5000 0.5000 x2



> What is the formula in the first record?

Gd3CoHg

~~~~~

(1)
Diffraction record for LiCoP2O7. The powder diffraction line list is theoretical, not measured: it uses a crystal structure in the Materials Project, relaxed with PBE+U and CuKα.

Principal peaks in the range 10° ≤ 2θ ≤ 80°, by angle:
14.53 deg, intensity 85; 22.31 deg, intensity 76; 22.81 deg, intensity 99; 23.42 deg, intensity 100; 31.22 deg, intensity 37; 32.33 deg, intensity 21; 32.78 deg, intensity 20; 35.48 deg, intensity 31; 36.35 deg, intensity 14; 40.11 deg, intensity 14

Atomic structure:
Cell lengths 5.0659, 6.7876, 8.2052 Å; angles 67.86, 87.77, 87.95 degrees
Space group P1 (No. 1)
Unique sites:
1 Li 0.0000 0.0000 0.0000 [1 per cell]
2 Li 0.4984 0.3486 0.4344 [1 per cell]
3 Co 0.4784 0.9627 0.2692 [1 per cell]
4 Co 0.9551 0.3966 0.7262 [1 per cell]
5 P 0.4347 0.7086 0.6893 [1 per cell]
6 P 0.4853 0.0582 0.8286 [1 per cell]
7 P 0.9572 0.2849 0.1710 [1 per cell]
8 P 0.9977 0.6257 0.3071 [1 per cell]
9 O 0.1467 0.6492 0.6829 [1 per cell]
10 O 0.1648 0.1406 0.2921 [1 per cell]
11 O 0.2882 0.6612 0.3292 [1 per cell]
12 O 0.3089 0.2196 0.6911 [1 per cell]
13 O 0.3974 0.0221 0.0195 [1 per cell]
14 O 0.4351 0.8236 0.8287 [1 per cell]
15 O 0.5362 0.8734 0.5141 [1 per cell]
16 O 0.6131 0.5137 0.7656 [1 per cell]
17 O 0.6724 0.2315 0.2433 [1 per cell]
18 O 0.7806 0.1013 0.7908 [1 per cell]
19 O 0.8355 0.8321 0.2227 [1 per cell]
20 O 0.8650 0.4623 0.4720 [1 per cell]
21 O 0.9970 0.2927 0.9840 [1 per cell]
22 O 0.9974 0.5256 0.1555 [1 per cell]

(2)
Diffraction record for LiCo2P2O8. The powder diffraction line list is theoretical, not measured: it uses a crystal structure in the Materials Project, relaxed with PBE+U and CuKα.

Principal peaks in the range 10° ≤ 2θ ≤ 80°, by angle:
>>>

**Assignment**
The reader should search the entries further up for the word "powder" and repeat each line that has it.

**Response**
Diffraction record for Sm2Cr2S2O5. The powder diffractogram is calculated, not measured: it uses DFT lattice parameters and positions (GGA+U) and Cu Kα, 1.54184 Å.
Diffraction record for LiCoP2O7. The powder diffraction line list is theoretical, not measured: it uses a crystal structure in the Materials Project, relaxed with PBE+U and CuKα.
Diffraction record for LiCo2P2O8. The powder diffraction line list is theoretical, not measured: it uses a crystal structure in the Materials Project, relaxed with PBE+U and CuKα.